I am struggling and need friends

Discussion in 'Porn Addiction' started by Headgoodrin, Apr 8, 2022.

  1. Headgoodrin

    Headgoodrin Fapstronaut

    Hello. It is already my 3rd day of trying to be PMO free. My longest streak is 10 days. Our internet is extremely fast, like 200 mbps download speed. I have hoarded thousands and thousands of porn videos and images to my hard drives before to the point that I have even bought new expensive hard drives and even bought subscriptions to some illegal sites. All in all, i had almost 12 terabytes of porn materials and I had the courage to delete it last 3 days.

    I always have that kind of problem. I will delete them but when I miss those materials much, I always go back and download them again. I am fed up. I am really sad of my addiction. I not only PMO but I also have tendencies to hoard and hoard and hoard porn stuffs. Very frustrating.

    I want to change. I want to be happy. I don't want my family to get hurt because of my situation.

    Recently, I got active to our church and sometimes read short portions of the bible. I also asked my mom to change the password of wifi so i can't connected to it. I also plan to consult a psychiatrist.

    Now my problem is I missed my downloaded videos. Sometimes I feel brain dog and irritated, though i just keep it to myself. Please send me your advices if you read this brothers.
    Respect2love, learning and engelman like this.
  2. Icewarrior

<<<
[1]
The following is a DFT calculation (PBE-GGA) of a relaxed structure of LiSe.

Unit cell a=6.8157 b=6.8157 c=4.3349 alpha=90.00 beta=90.00 gamma=156.85
Last column: nearest neighbours and their distance in Å.
Fractional positions:
Li1 0.6745 0.3255 0.7500  5 Se 2.64-2.67, 2 Li 2.74
Li2 0.3255 0.6745 0.2500  5 Se 2.64-2.67, 2 Li 2.74
Se1 0.8743 0.1257 0.7500  5 Li 2.64-2.67, 2 Se 2.74
Se2 0.1257 0.8743 0.2500  5 Li 2.64-2.67, 2 Se 2.74

E	-3.535	eV/atom
uncorrected formation energy	-0.836	eV per atom
E above lowest polymorph	7.1	kJ/mol of atoms
Fermi-level density of states	0.85	states/eV/f.u.


[2]
The following is a DFT calculation (PBE-GGA) of a relaxed structure of Cd7Ga2Ag2.

Unit cell a=7.2111 b=5.7516 c=5.7516 alpha=96.60 beta=82.66 gamma=82.66
Last column: nearest neighbours and their distance in Å.
Fractional positions:
Cd1 0.1939 0.0956 0.4766  3 Ag 2.95-3.01, 2 Ga 2.99-3.01, 6 Cd 3.12-3.29
Cd2 0.8061 0.5234 0.9044  3 Ag 2.95-3.01, 2 Ga 2.99-3.01, 6 Cd 3.12-3.29
Cd3 0.8061 0.9044 0.5234  3 Ag 2.95-3.01, 2 Ga 2.99-3.01, 6 Cd 3.12-3.29
Cd4 0.1939 0.4766 0.0956  3 Ag 2.95-3.01, 2 Ga 2.99-3.01, 6 Cd 3.12-3.29
Cd5 0.0000 0.0000 0.0000  2 Ag 2.95, 10 Cd 3.07-3.29
Cd6 0.4244 0.8428 0.8428  2 Cd 2.83-3.07, 1 Ag 2.89, 4 Ga 3.00-3.10
Cd7 0.5756 0.1572 0.1572  2 Cd 2.83-3.07, 1 Ag 2.89, 4 Ga 3.00-3.10
Ga1 0.5000 0.3215 0.6785  2 Ag 2.94, 8 Cd 2.99-3.10, 1 Ga 3.07
Ga2 0.5000 0.6785 0.3215  2 Ag 2.94, 8 Cd 2.99-3.10, 1 Ga 3.07
Ag1 0.8497 0.3874 0.3874  8 Cd 2.89-3.01, 2 Ga 2.94, 1 Ag 3.02
Ag2 0.1503 0.6126 0.6126  8 Cd 2.89-3.01, 2 Ga 2.94, 1 Ag 3.02

E	-1.644	eV/atom
DFT formation energy	0.01	eV/atom
Fermi-level density of states	2.46	states/eV/f.u.


[3]
The following is a DFT calculation (PBE-GGA) of a relaxed structure of Er5In2Si2.

Unit cell a=7.5602 b=7.5784 c=8.7145 alpha=90.00 beta=64.29 gamma=90.00
Last column: nearest neighbours and their distance in Å.
Fractional positions:
Er1 0.0000 0.0000 0.0000  4 Si 3.01-3.03, 4 Er 3.37
Er2 0.5000 0.5000 0.0000  4 Si 3.01-3.03, 4 Er 3.37
Er3 0.4402 0.1803 0.7525  3 Si 2.88-3.04, 3 In 3.11-3.19
Er4 0.8072 0.8197 0.7525  3 Si 2.88-3.04, 3 In 3.11-3.19
Er5 0.3072 0.6803 0.7525  3 Si 2.88-3.04, 3 In 3.11-3.19
Er6 0.9402 0.3197 0.7525  3 Si 2.88-3.04, 3 In 3.11-3.19
Er7 0.5598 0.8197 0.2475  3 Si 2.88-3.04, 3 In 3.11-3.19
Er8 0.1928 0.1803 0.2475  3 Si 2.88-3.04, 3 In 3.11-3.19
Er9 0.6928 0.3197 0.2475  3 Si 2.88-3.04, 3 In 3.11-3.19
Er10 0.0598 0.6803 0.2475  3 Si 2.88-3.04, 3 In 3.11-3.19
In1 0.2219 0.0000 0.5563  6 Er 3.11-3.19
In2 0.7219 0.5000 0.5563  6 Er 3.11-3.19
In3 0.7781 0.0000 0.4437  6 Er 3.11-3.19
In4 0.2781 0.5000 0.4437  6 Er 3.11-3.19
Si1 0.1184 0.3794 0.0000  1 Si 2.56
Si2 0.8816 0.6206 0.0000  1 Si 2.56
Si3 0.3816 0.8794 0.0000  1 Si 2.56
Si4 0.6184 0.1206 0.0000  1 Si 2.56

E	-4.918	eV/atom
uncorrected formation energy	-0.569	eV per atom
Fermi-level density of states	6.70	states/eV/f.u.


[4]
The following is a DFT calculation (PBE-GGA) of a relaxed structure of TaCd.
>>>

    Icewarrior Fapstronaut

    Transmute the sexual energy and negative emotions, everyday. Create a high ideal for yourself.
  3. Headgoodrin

    Headgoodrin Fapstronaut

    Thank you for the support bro. I ll find more books including your recommendation. How is your progress by the way?
    engelman likes this.
  4. Headgoodrin

    Headgoodrin Fapstronaut

    Yes. I am trying to change and be positive although it is hard
    Icewarrior likes this.
  5. Headgoodrin

An optimized crystal structure of Na2Tl7In. Source: the Alexandria database, functional PBE-GGA.

## Properties
The calculation puts the energy relative to the elements at 11 meV per atom. For the final energy, the calculation gives -2.18 eV per atom. As for the excess energy over the best structure of this formula in the dataset: 0.0000 eV per atom.

```
Na2Tl7In
1.0
-2.0316 1.9442 -4.5346
2.5289 -4.6983 -0.0082
-11.0299 -5.9412 2.3944
Na Tl In
2 7 1
Direct
0.6667 0.3333 0.2389 Na
0.3333 0.6667 0.6479 Na
0.0000 0.0000 0.3376 Tl
0.3333 0.6667 0.1455 Tl
0.6667 0.3333 0.5228 Tl
0.6667 0.3333 0.9580 Tl
0.3333 0.6667 0.8910 Tl
0.0000 0.0000 0.7774 Tl
0.3333 0.6667 0.4077 Tl
0.0000 0.0000 0.0566 In
```

=====

An optimized crystal structure of Tl2H6Pt. Source: the Alexandria database, functional PBE-GGA.

## Properties
For the final energy, the calculation gives -3.44 eV per atom.

```
Tl2H6Pt
1.0
-4.4567 2.8202 2.3845
-3.7143 -2.8291 3.4207
-0.0524 1.0380 5.6967
Tl H Pt
2 6 1
Direct
0.7500 0.7500 0.7502 Tl
0.2500 0.2500 0.2498 Tl
0.7024 0.2974 0.7027 H
0.2974 0.2974 0.7021 H
0.7026 0.7026 0.2979 H
0.7026 0.2976 0.2973 H
0.2976 0.7026 0.2973 H
0.2974 0.7024 0.7027 H
0.5000 0.5000 0.5000 Pt
```

=====

An optimized crystal structure of K3Li2ZnF8. Source: the Alexandria database, functional PBE-GGA.

## Properties
For the final energy, the calculation gives -4.20 eV per atom. For the uncorrected formation energy, the calculation gives -2.535 eV/atom.

```
K3Li2ZnF8
1.0
-3.5075 -4.1638 -1.8647
3.6677 -1.0430 4.3101
-5.1799 2.1558 4.9296
F K Zn Li
8 3 1 2
Direct
0.3241 0.1621 0.6608 F
• End of the calculated crystals:

    Headgoodrin Fapstronaut

    If i finish this day without PMO, it will be my 4th day. The road is getting tougher each day and my body keeps getting a little more sensitive to unknown triggers
  6. desmond3

    desmond3 Fapstronaut

    I have the same behavior like you. On top of that, I am also a video game addict, so I will do something similar for video games (uninstalling and reinstalling them over and over).

    I think this behavior is caused by the fact that I still partly believe porn and masturbation are good stuff, and I still believe they would give me happiness. So whenever my urges come, I often remind myself of all of my life problems caused by sex addiction, reminding myself that nothing good will come out by giving into my addiction. I should better ignore the urges and just let it come and go. Even if the urges seem to be overwhelming, it is still my choice whether to react to it or not. Also, I know I still need more effort to "brainwash" myself, so that I can achieve a state where I hate porn, or just don't have a strong feeling when I see it accidentally.

    The journey is long, but don't get overwhelmed by its length. Try to focus on today, then everything would look much more achievable, even on those days you have urges that seem to be unbearable.
    Last edited: Apr 8, 2022
  7. Fasting and prayer can be a powerful antidote to this addiction, It has helped me greatly didn't work the first attempt but I kept at it, that's what I have come to accept you don't have to give in or give up

    I try to fast one whole day a week, I would advise looking into eating the healthiest diet you can tho (no sugar, and less or no carbs).